# Input
┌──
(1)
Theoretical powder diffractogram of Ca3SbO4 for Cu Kα, from a crystal structure in Alexandria, relaxed with PBE.
Neutral-atom scattering factors, no anomalous dispersion.

Largest 10 diffraction maxima, in order of rising 2θ, 10 to 90 degrees two-theta:
Position (°2θ), I_rel
16.77, 460
21.06, 476
22.42, 265
24.88, 332
26.22, 676
30.99, 1000
33.87, 459
36.83, 503
43.00, 317
57.88, 257

Cell and atoms:
```
data_Ca3SbO4
_cell_length_a 8.414
_cell_length_b 6.797
_cell_length_c 4.881
_cell_angle_alpha 90.00
_cell_angle_beta 90.00
_cell_angle_gamma 90.00
_symmetry_space_group_name_H-M 'P m n 21'
_symmetry_Int_Tables_number 31
_symmetry_space_group_name_Hall 'P 2ac -2'
loop_
_atom_site_label
_atom_site_type_symbol
_atom_site_fract_x
_atom_site_fract_y
_atom_site_fract_z
_atom_site_occupancy
Ca1 Ca 0.000 0.145 0.000 1
Ca2 Ca 0.236 0.331 0.502 1
Sb1 Sb 0.000 0.750 0.504 1
O1 O 0.000 0.178 0.499 1
O2 O 0.000 0.803 0.096 1
O3 O 0.234 0.323 0.994 1
```

---

(2)
Theoretical powder diffractogram of CaSb2O5 for Cu Kα, from a crystal structure in Alexandria, relaxed with PBE.
Neutral-atom scattering factors, no anomalous dispersion.

Largest 10 diffraction maxima, in order of rising 2θ, 10 to 90 degrees two-theta:
Position (°2θ), I_rel
17.10, 1000
23.98, 457
25.95, 704
28.87, 297
29.61, 599
30.32, 535
31.24, 579
47.17, 231
50.04, 295
55.46, 263

Cell and atoms:
```
data_CaSb2O5
_cell_length_a 3.854
_cell_length_b 13.735
_cell_length_c 5.184
_cell_angle_alpha 90.00
_cell_angle_beta 90.00
_cell_angle_gamma 90.00
_symmetry_space_group_name_H-M 'P m m n'
_symmetry_Int_Tables_number 59
loop_
_symmetry_equiv_pos_as_xyz
'x,y,z'
'-x,-y,-z'
'-x+1/2,-y+1/2,z'
'x+1/2,y+1/2,-z'
'x+1/2,-y,-z'
'-x+1/2,y,z'
'-x,y+1/2,-z'
'x,-y+1/2,z'
loop_
_atom_site_label
_atom_site_type_symbol
_atom_site_fract_x
_atom_site_fract_y
_atom_site_fract_z
_atom_site_occupancy
Ca1 Ca 0.250 0.250 0.092 1
Sb1 Sb 0.250 0.613 0.429 1
O1 O 0.250 0.089 0.450 1
O2 O 0.250 0.649 0.073 1
O3 O 0.250 0.750 0.588 1
```

---

(3)
Theoretical powder diffractogram of CaSb4O9 for Cu Kα, from a crystal structure in Alexandria, relaxed with PBE.
Neutral-atom scattering factors, no anomalous dispersion.

Largest 10 diffraction maxima, in order of rising 2θ, 10 to 90 degrees two-theta:
Position (°2θ), I_rel
13.15, 324
15.43, 611
16.19, 547
17.01, 1000
19.64, 640
22.75, 468
26.75, 465
27.47, 639
30.74, 313
34.14, 655

Cell and atoms:
```
data_CaSb4O9
_cell_length_a 5.872
_cell_length_b 8.629
_cell_length_c 10.607
_cell_angle_alpha 90.75
_cell_angle_beta 100.51
_cell_angle_gamma 95.83
_symmetry_space_group_name_H-M 'P -1'
_symmetry_Int_Tables_number 2
_symmetry_space_group_name_Hall '-P 1'
loop_
_atom_site_label
_atom_site_type_symbol
_atom_site_fract_x
_atom_site_fract_y
_atom_site_fract_z
_atom_site_occupancy
Ca1 Ca 0.186 0.226 0.212 1
Sb1 Sb 0.223 0.388 0.525 1
Sb2 Sb 0.304 0.797 0.529 1
Sb3 Sb 0.363 0.026 0.846 1
Sb4 Sb 0.387 0.649 0.015 1
O1 O 0.014 0.751 0.608 1
O2 O 0.041 0.011 0.827 1
O3 O 0.089 0.666 0.928 1
O4 O 0.148 0.582 0.431 1
O5 O 0.403 0.436 0.089 1
O6 O 0.450 0.343 0.396 1
O7 O 0.455 0.131 0.038 1
O8 O 0.471 0.926 0.708 1
O9 O 0.497 0.759 0.182 1
```

* * * * *

# Y2Al7Ag12
Simulated powder diffractogram, Cu Ka. Input: a DFT-relaxed cell (GGA-PBE, Alexandria).

Cell and atoms:
a = 11.7550 Å, b = 11.7550 Å, c = 3.2331 Å
α = 90.00°, β = 90.00°, γ = 120.00°
Space group P-3 (No. 147)
Unique sites:
1 Y 0.3333 0.6667 0.2470 x2
2 Al 0.0000 0.0000 0.5000 x1
3 Al 0.1298 0.4182 0.7466 x6
4 Ag 0.0792 0.6208 0.7507 x6
5 Ag 0.0827 0.8369 0.2447 x6

Largest 10 diffraction maxima, in order of rising 2θ, 10 to 90 degrees two-theta:
d_spacing	Rel. int.
3.848	29
2.475	100
2.337	13
2.221	50
2.127	6
1.653	20
1.617	7
1.455	6
1.326	17
1.307	16

# Y2Al3Ag2
Simulated powder diffractogram, Cu Ka. Input: a DFT-relaxed cell (GGA-PBE, Alexandria).

Cell and atoms:
a = 10.6921 Å, b = 4.4153 Å, c = 6.8221 Å
α = 90.00°, β = 115.16°, γ = 90.00°
Space group C2/m (No. 12)
Unique sites:
└──

# To do
It remains to transcribe all of the notes earlier on without additions.

# Result
(1)
Theoretical powder diffractogram of Ca3SbO4 for Cu Kα, from a crystal structure in Alexandria, relaxed with PBE.
Neutral-atom scattering factors, no anomalous dispersion.

Largest 10 diffraction maxima, in order of rising 2θ, 10 to 90 degrees two-theta:
Position (°2θ), I_rel
16.77, 460
21.06, 476
22.42, 265
24.88, 332
26.22, 676
30.99, 1000
33.87, 459
36.83, 503
43.00, 317
57.88, 257

Cell and atoms:
```
data_Ca3SbO4
_cell_length_a 8.414
_cell_length_b 6.797
_cell_length_c 4.881
_cell_angle_alpha 90.00
_cell_angle_beta 90.00
_cell_angle_gamma 90.00
_symmetry_space_group_name_H-M 'P m n 21'
_symmetry_Int_Tables_number 31
_symmetry_space_group_name_Hall 'P 2ac -2'
loop_
_atom_site_label
_atom_site_type_symbol
_atom_site_fract_x
_atom_site_fract_y
_atom_site_fract_z
_atom_site_occupancy
Ca1 Ca 0.000 0.145 0.000 1
Ca2 Ca 0.236 0.331 0.502 1
Sb1 Sb 0.000 0.750 0.504 1
O1 O 0.000 0.178 0.499 1
O2 O 0.000 0.803 0.096 1
O3 O 0.234 0.323 0.994 1
```

---

(2)
Theoretical powder diffractogram of CaSb2O5 for Cu Kα, from a crystal structure in Alexandria, relaxed with PBE.
Neutral-atom scattering factors, no anomalous dispersion.

Largest 10 diffraction maxima, in order of rising 2θ, 10 to 90 degrees two-theta:
Position (°2θ), I_rel
17.10, 1000
23.98, 457
25.95, 704
28.87, 297
29.61, 599
30.32, 535
31.24, 579
47.17, 231
50.04, 295
55.46, 263

Cell and atoms:
```
data_CaSb2O5
_cell_length_a 3.854
_cell_length_b 13.735
_cell_length_c 5.184
_cell_angle_alpha 90.00
_cell_angle_beta 90.00
_cell_angle_gamma 90.00
_symmetry_space_group_name_H-M 'P m m n'
_symmetry_Int_Tables_number 59
loop_
_symmetry_equiv_pos_as_xyz
'x,y,z'
'-x,-y,-z'
'-x+1/2,-y+1/2,z'
'x+1/2,y+1/2,-z'
'x+1/2,-y,-z'
'-x+1/2,y,z'
'-x,y+1/2,-z'
'x,-y+1/2,z'
loop_
_atom_site_label
_atom_site_type_symbol
_atom_site_fract_x
_atom_site_fract_y
_atom_site_fract_z
_atom_site_occupancy
Ca1 Ca 0.250 0.250 0.092 1
Sb1 Sb 0.250 0.613 0.429 1
O1 O 0.250 0.089 0.450 1
O2 O 0.250 0.649 0.073 1
O3 O 0.250 0.750 0.588 1
```

---

(3)
Theoretical powder diffractogram of CaSb4O9 for Cu Kα, from a crystal structure in Alexandria, relaxed with PBE.
Neutral-atom scattering factors, no anomalous dispersion.

Largest 10 diffraction maxima, in order of rising 2θ, 10 to 90 degrees two-theta:
Position (°2θ), I_rel
13.15, 324
15.43, 611
16.19, 547
17.01, 1000
19.64, 640
22.75, 468
26.75, 465
27.47, 639
30.74, 313
34.14, 655

Cell and atoms:
```
data_CaSb4O9
_cell_length_a 5.872
_cell_length_b 8.629
_cell_length_c 10.607
_cell_angle_alpha 90.75
_cell_angle_beta 100.51
_cell_angle_gamma 95.83
_symmetry_space_group_name_H-M 'P -1'
_symmetry_Int_Tables_number 2
_symmetry_space_group_name_Hall '-P 1'
loop_
_atom_site_label
_atom_site_type_symbol
_atom_site_fract_x
_atom_site_fract_y
_atom_site_fract_z
_atom_site_occupancy
Ca1 Ca 0.186 0.226 0.212 1
Sb1 Sb 0.223 0.388 0.525 1
Sb2 Sb 0.304 0.797 0.529 1
Sb3 Sb 0.363 0.026 0.846 1
Sb4 Sb 0.387 0.649 0.015 1
O1 O 0.014 0.751 0.608 1
O2 O 0.041 0.011 0.827 1
O3 O 0.089 0.666 0.928 1
O4 O 0.148 0.582 0.431 1
O5 O 0.403 0.436 0.089 1
O6 O 0.450 0.343 0.396 1
O7 O 0.455 0.131 0.038 1
O8 O 0.471 0.926 0.708 1
O9 O 0.497 0.759 0.182 1
```

* * * * *

# Y2Al7Ag12
Simulated powder diffractogram, Cu Ka. Input: a DFT-relaxed cell (GGA-PBE, Alexandria).

Cell and atoms:
a = 11.7550 Å, b = 11.7550 Å, c = 3.2331 Å
α = 90.00°, β = 90.00°, γ = 120.00°
Space group P-3 (No. 147)
Unique sites:
1 Y 0.3333 0.6667 0.2470 x2
2 Al 0.0000 0.0000 0.5000 x1
3 Al 0.1298 0.4182 0.7466 x6
4 Ag 0.0792 0.6208 0.7507 x6
5 Ag 0.0827 0.8369 0.2447 x6

Largest 10 diffraction maxima, in order of rising 2θ, 10 to 90 degrees two-theta:
d_spacing	Rel. int.
3.848	29
2.475	100
2.337	13
2.221	50
2.127	6
1.653	20
1.617	7
1.455	6
1.326	17
1.307	16

# Y2Al3Ag2
Simulated powder diffractogram, Cu Ka. Input: a DFT-relaxed cell (GGA-PBE, Alexandria).

Cell and atoms:
a = 10.6921 Å, b = 4.4153 Å, c = 6.8221 Å
α = 90.00°, β = 115.16°, γ = 90.00°
Space group C2/m (No. 12)
Unique sites: